Contents =
........
Computed powder diffraction line list
Compound: Cs
Radiation: Cu Kα X-rays
Structure: a crystal structure in Alexandria, relaxed with PBE

Lattice parameters (Å, degrees): 14.254 14.254 8.681 90.00 90.00 120.00
Fractional coordinates of all 12 atoms:
Cs1 0.071 0.251 0.250
Cs2 0.101 0.486 0.750
Cs3 0.179 0.929 0.250
Cs4 0.251 0.179 0.750
Cs5 0.385 0.899 0.750
Cs6 0.486 0.385 0.250
Cs7 0.514 0.615 0.750
Cs8 0.615 0.101 0.250
Cs9 0.749 0.821 0.250
Cs10 0.821 0.071 0.750
Cs11 0.899 0.514 0.250
Cs12 0.929 0.749 0.750

Largest 10 diffraction maxima, by angle, 15 to 90 degrees two-theta:
- (2 0 1), 17.63°, I 12
- (2 1 0), 19.02°, I 22
- (0 0 2), 20.46°, I 25
- (2 1 1), 21.62°, I 100
- (2 1 2), 28.07°, I 20
- (1 4 0), 33.27°, I 26
- (2 1 3), 36.54°, I 25
- (1 4 2), 39.37°, I 27
- (4 2 1), 40.02°, I 18
- (7 0 1), 52.99°, I 13

=====

For Li9Co7O16, a crystal structure in the Materials Project, relaxed with GGA+U gives the calculated powder diffractogram in this record (Cu Ka).
Lines closer than 0.1° are merged.

Peak list (6 most intense, 10 to 90 degrees two-theta, low angle first)
hkl 0 0 2, 2θ 18.47, d 4.803, I = 100; hkl 1 -2 0, 2θ 36.29, d 2.476, I = 14; hkl -1 2 2, 2θ 43.83, d 2.066, I = 27; hkl 2 0 2, 2θ 44.12, d 2.053, I = 26; hkl 1 2 -4, 2θ 44.30, d 2.045, I = 26; hkl 1 2 4, 2θ 63.61, d 1.463, I = 14

Cell and atoms:
```
data_Li9Co7O16
_chemical_formula_sum 'Li9 Co7 O16'
_space_group_name_H-M_alt 'P -1'
_space_group_IT_number 2
_cell_length_a 4.9985
_cell_length_b 5.7784
_cell_length_c 10.1488
_cell_angle_alpha 106.08
_cell_angle_beta 99.37
_cell_angle_gamma 90.47
loop_
_space_group_symop_operation_xyz
'x,y,z'
'-x,-y,-z'
loop_
_atom_site_label
_atom_site_type_symbol
_atom_site_fract_x
_atom_site_fract_y
_atom_site_fract_z
_atom_site_occupancy
Li1 Li 0.0000 0.0000 0.0000 1
Li2 Li 0.2454 0.8758 0.7504 1
Li3 Li 0.2462 0.3713 0.2509 1
Li4 Li 0.2473 0.3736 0.7489 1
Li5 Li 0.2475 0.8784 0.2495 1
Co1 Co 0.0000 0.0000 0.5000 1
Co2 Co 0.0000 0.5000 0.0000 1
Co3 Co 0.0000 0.5000 0.5000 1
Co4 Co 0.4948 0.7555 0.0005 1
Co5 Co 0.4966 0.2482 0.4983 1
O1 O 0.1223 0.6783 0.3864 1
O2 O 0.1241 0.1758 0.3751 1
O3 O 0.1371 0.2186 0.8958 1
O4 O 0.1441 0.6788 0.8924 1
O5 O 0.3623 0.5563 0.6161 1
O6 O 0.3631 0.5548 0.1079 1
O7 O 0.3716 0.0600 0.6202 1
O8 O 0.4008 0.0525 0.1109 1
```

---

For Mn6O5F7, a crystal structure in the Materials Project, relaxed with GGA+U gives the calculated powder diffractogram in this record (Cu Ka).
Lines closer than 0.1° are merged.

Peak list (6 most intense, 10 to 90 degrees two-theta, low angle first)
hkl 2 0 -2, 2θ 24.52, d 3.630, I = 100; hkl 0 2 0, 2θ 28.01, d 3.185, I = 77; hkl 1 1 2, 2θ 34.32, d 2.613, I = 42; hkl 3 1 0, 2θ 34.39, d 2.608, I = 41; hkl 1 1 -4, 2θ 49.74, d 1.833, I = 33; hkl 1 3 2, 2θ 53.75, d 1.705, I = 42

Cell and atoms:
```
data_Mn6O5F7
_chemical_formula_sum 'Mn12 O10 F14'
_space_group_name_H-M_alt 'C 1 2 1'
_space_group_IT_number 5
_cell_length_a 9.5491
_cell_length_b 6.3704
_cell_length_c 7.9098
_cell_angle_alpha 90.00
_cell_angle_beta 116.11
_cell_angle_gamma 90.00
loop_
_space_group_symop_operation_xyz
'x,y,z'
'-x,y,-z'
'x+1/2,y+1/2,z'
'-x+1/2,y+1/2,-z'
loop_
_atom_site_label
_atom_site_type_symbol
_atom_site_fract_x
_atom_site_fract_y
_atom_site_fract_z
_atom_site_occupancy
Mn1 Mn 0.0000 0.0000 0.0000 1
Mn2 Mn 0.0000 0.0291 0.5000 1
Mn3 Mn 0.1649 0.5289 0.6652 1
Mn4 Mn 0.1753 0.5290 0.1749 1
O1 O 0.0000 0.7045 0.0000 1
O2 O 0.1628 0.2273 0.6628 1
O3 O 0.1638 0.8320 0.6635 1
F1 F 0.0000 0.3191 0.0000 1
F2 F 0.0613 0.5254 0.3706 1
F3 F 0.1057 0.0251 0.2884 1
F4 F 0.2313 0.0222 0.0395 1
```

---

What is the formula in the first record? Li9Co7O16

=====

This entry pairs a crystal structure of Ba6Si2Sn with its theoretical X-ray diffraction stick pattern. Radiation: CuKα. Structure: a PBE-relaxed structure.
Peak positions follow from Bragg's law for the DFT cell and can differ from measured ones.

Structural model:
abc: 9.9483 9.9483 9.9483
angles: 112.71 108.74 107.02
Positions (direct):
........

Activity =
Return only the last part of the rows above, starting with the line that has "X-rays".

Reply =
Radiation: Cu Kα X-rays
Structure: a crystal structure in Alexandria, relaxed with PBE

Lattice parameters (Å, degrees): 14.254 14.254 8.681 90.00 90.00 120.00
Fractional coordinates of all 12 atoms:
Cs1 0.071 0.251 0.250
Cs2 0.101 0.486 0.750
Cs3 0.179 0.929 0.250
Cs4 0.251 0.179 0.750
Cs5 0.385 0.899 0.750
Cs6 0.486 0.385 0.250
Cs7 0.514 0.615 0.750
Cs8 0.615 0.101 0.250
Cs9 0.749 0.821 0.250
Cs10 0.821 0.071 0.750
Cs11 0.899 0.514 0.250
Cs12 0.929 0.749 0.750

Largest 10 diffraction maxima, by angle, 15 to 90 degrees two-theta:
- (2 0 1), 17.63°, I 12
- (2 1 0), 19.02°, I 22
- (0 0 2), 20.46°, I 25
- (2 1 1), 21.62°, I 100
- (2 1 2), 28.07°, I 20
- (1 4 0), 33.27°, I 26
- (2 1 3), 36.54°, I 25
- (1 4 2), 39.37°, I 27
- (4 2 1), 40.02°, I 18
- (7 0 1), 52.99°, I 13

=====

For Li9Co7O16, a crystal structure in the Materials Project, relaxed with GGA+U gives the calculated powder diffractogram in this record (Cu Ka).
Lines closer than 0.1° are merged.

Peak list (6 most intense, 10 to 90 degrees two-theta, low angle first)
hkl 0 0 2, 2θ 18.47, d 4.803, I = 100; hkl 1 -2 0, 2θ 36.29, d 2.476, I = 14; hkl -1 2 2, 2θ 43.83, d 2.066, I = 27; hkl 2 0 2, 2θ 44.12, d 2.053, I = 26; hkl 1 2 -4, 2θ 44.30, d 2.045, I = 26; hkl 1 2 4, 2θ 63.61, d 1.463, I = 14

Cell and atoms:
```
data_Li9Co7O16
_chemical_formula_sum 'Li9 Co7 O16'
_space_group_name_H-M_alt 'P -1'
_space_group_IT_number 2
_cell_length_a 4.9985
_cell_length_b 5.7784
_cell_length_c 10.1488
_cell_angle_alpha 106.08
_cell_angle_beta 99.37
_cell_angle_gamma 90.47
loop_
_space_group_symop_operation_xyz
'x,y,z'
'-x,-y,-z'
loop_
_atom_site_label
_atom_site_type_symbol
_atom_site_fract_x
_atom_site_fract_y
_atom_site_fract_z
_atom_site_occupancy
Li1 Li 0.0000 0.0000 0.0000 1
Li2 Li 0.2454 0.8758 0.7504 1
Li3 Li 0.2462 0.3713 0.2509 1
Li4 Li 0.2473 0.3736 0.7489 1
Li5 Li 0.2475 0.8784 0.2495 1
Co1 Co 0.0000 0.0000 0.5000 1
Co2 Co 0.0000 0.5000 0.0000 1
Co3 Co 0.0000 0.5000 0.5000 1
Co4 Co 0.4948 0.7555 0.0005 1
Co5 Co 0.4966 0.2482 0.4983 1
O1 O 0.1223 0.6783 0.3864 1
O2 O 0.1241 0.1758 0.3751 1
O3 O 0.1371 0.2186 0.8958 1
O4 O 0.1441 0.6788 0.8924 1
O5 O 0.3623 0.5563 0.6161 1
O6 O 0.3631 0.5548 0.1079 1
O7 O 0.3716 0.0600 0.6202 1
O8 O 0.4008 0.0525 0.1109 1
```

---

For Mn6O5F7, a crystal structure in the Materials Project, relaxed with GGA+U gives the calculated powder diffractogram in this record (Cu Ka).
Lines closer than 0.1° are merged.

Peak list (6 most intense, 10 to 90 degrees two-theta, low angle first)
hkl 2 0 -2, 2θ 24.52, d 3.630, I = 100; hkl 0 2 0, 2θ 28.01, d 3.185, I = 77; hkl 1 1 2, 2θ 34.32, d 2.613, I = 42; hkl 3 1 0, 2θ 34.39, d 2.608, I = 41; hkl 1 1 -4, 2θ 49.74, d 1.833, I = 33; hkl 1 3 2, 2θ 53.75, d 1.705, I = 42

Cell and atoms:
```
data_Mn6O5F7
_chemical_formula_sum 'Mn12 O10 F14'
_space_group_name_H-M_alt 'C 1 2 1'
_space_group_IT_number 5
_cell_length_a 9.5491
_cell_length_b 6.3704
_cell_length_c 7.9098
_cell_angle_alpha 90.00
_cell_angle_beta 116.11
_cell_angle_gamma 90.00
loop_
_space_group_symop_operation_xyz
'x,y,z'
'-x,y,-z'
'x+1/2,y+1/2,z'
'-x+1/2,y+1/2,-z'
loop_
_atom_site_label
_atom_site_type_symbol
_atom_site_fract_x
_atom_site_fract_y
_atom_site_fract_z
_atom_site_occupancy
Mn1 Mn 0.0000 0.0000 0.0000 1
Mn2 Mn 0.0000 0.0291 0.5000 1
Mn3 Mn 0.1649 0.5289 0.6652 1
Mn4 Mn 0.1753 0.5290 0.1749 1
O1 O 0.0000 0.7045 0.0000 1
O2 O 0.1628 0.2273 0.6628 1
O3 O 0.1638 0.8320 0.6635 1
F1 F 0.0000 0.3191 0.0000 1
F2 F 0.0613 0.5254 0.3706 1
F3 F 0.1057 0.0251 0.2884 1
F4 F 0.2313 0.0222 0.0395 1
```

---

What is the formula in the first record? Li9Co7O16

=====

This entry pairs a crystal structure of Ba6Si2Sn with its theoretical X-ray diffraction stick pattern. Radiation: CuKα. Structure: a PBE-relaxed structure.
Peak positions follow from Bragg's law for the DFT cell and can differ from measured ones.

Structural model:
abc: 9.9483 9.9483 9.9483
angles: 112.71 108.74 107.02
Positions (direct):